____________
{
  "formula": "C17H37BO17S",
  "method": "ωB97M-V with the def2-TZVPD basis set",
  "symbols": ["O", "S", "O", "O", "C", "B", "O", "O", "H", "H", "H", "H", "H", "C", "C", "O", "C", "O", "O", "C", "H", "H", "H", "H", "H", "H", "H", "H", "C", "C", "O", "C", "O", "O", "C", "H", "H", "H", "H", "H", "H", "H", "H", "C", "C", "O", "C", "O", "O", "C", "H", "H", "H", "H", "H", "H", "H", "H", "C", "C", "O", "C", "O", "O", "C", "H", "H", "H", "H", "H", "H", "H", "H"],
  "coordinates": [[2.586, 0.899, 2.163], [2.345, 0.213, 0.916], [0.819, 0.632, 0.557], [2.277, -1.340, 1.337], [2.227, -2.290, 0.229], [2.381, -1.683, -1.251], [1.263, -1.406, -2.001], [3.599, -1.463, -1.806], [0.448, 1.029, 1.364], [2.986, -3.040, 0.448], [1.255, -2.787, 0.294], [0.456, -1.611, -1.517], [3.513, -1.013, -2.655], [-5.856, -2.745, -0.211], [-5.416, -1.350, 0.176], [-4.380, -1.373, 1.176], [-3.162, -1.655, 0.737], [-2.845, -1.883, -0.406], [-2.326, -1.635, 1.779], [-0.981, -1.980, 1.445], [-6.158, -3.307, 0.673], [-6.701, -2.691, -0.897], [-5.049, -3.288, -0.701], [-6.232, -0.803, 0.641], [-5.075, -0.778, -0.686], [-0.616, -1.351, 0.638], [-0.928, -3.030, 1.158], [-0.377, -1.820, 2.333], [2.659, -0.217, 5.867], [3.777, -0.869, 5.084], [4.505, -1.820, 5.883], [3.909, -2.995, 6.056], [2.857, -3.343, 5.582], [4.688, -3.744, 6.841], [4.149, -5.030, 7.154], [3.048, 0.233, 6.782], [2.191, 0.559, 5.262], [1.899, -0.946, 6.146], [4.510, -0.124, 4.786], [3.401, -1.351, 4.182], [3.878, -5.569, 6.249], [3.276, -4.928, 7.797], [4.934, -5.563, 7.682], [-3.746, 5.703, 0.045], [-3.898, 5.141, -1.351], [-2.837, 4.229, -1.680], [-2.948, 3.007, -1.154], [-3.856, 2.606, -0.474], [-1.881, 2.303, -1.528], [-1.821, 0.976, -0.993], [-2.764, 6.164, 0.164], [-4.511, 6.458, 0.229], [-3.848, 4.920, 0.795], [-3.822, 5.932, -2.094], [-4.858, 4.643, -1.481], [-2.736, 0.429, -1.196], [-1.638, 1.011, 0.078], [-0.989, 0.491, -1.492], [3.159, 1.009, -7.219], [2.182, 0.167, -6.427], [1.851, 0.770, -5.166], [0.968, 1.772, -5.229], [0.425, 2.170, -6.227], [0.784, 2.238, -3.999], [-0.105, 3.360, -3.902], [4.050, 1.218, -6.625], [3.459, 0.481, -8.124], [2.711, 1.959, -7.506], [2.626, -0.792, -6.167], [1.269, -0.023, -6.990], [-1.061, 3.143, -4.371], [0.349, 4.237, -4.361], [-0.253, 3.532, -2.844]],
____________
Restate everything earlier on character by character.
{
  "formula": "C17H37BO17S",
  "method": "ωB97M-V with the def2-TZVPD basis set",
  "symbols": ["O", "S", "O", "O", "C", "B", "O", "O", "H", "H", "H", "H", "H", "C", "C", "O", "C", "O", "O", "C", "H", "H", "H", "H", "H", "H", "H", "H", "C", "C", "O", "C", "O", "O", "C", "H", "H", "H", "H", "H", "H", "H", "H", "C", "C", "O", "C", "O", "O", "C", "H", "H", "H", "H", "H", "H", "H", "H", "C", "C", "O", "C", "O", "O", "C", "H", "H", "H", "H", "H", "H", "H", "H"],
  "coordinates": [[2.586, 0.899, 2.163], [2.345, 0.213, 0.916], [0.819, 0.632, 0.557], [2.277, -1.340, 1.337], [2.227, -2.290, 0.229], [2.381, -1.683, -1.251], [1.263, -1.406, -2.001], [3.599, -1.463, -1.806], [0.448, 1.029, 1.364], [2.986, -3.040, 0.448], [1.255, -2.787, 0.294], [0.456, -1.611, -1.517], [3.513, -1.013, -2.655], [-5.856, -2.745, -0.211], [-5.416, -1.350, 0.176], [-4.380, -1.373, 1.176], [-3.162, -1.655, 0.737], [-2.845, -1.883, -0.406], [-2.326, -1.635, 1.779], [-0.981, -1.980, 1.445], [-6.158, -3.307, 0.673], [-6.701, -2.691, -0.897], [-5.049, -3.288, -0.701], [-6.232, -0.803, 0.641], [-5.075, -0.778, -0.686], [-0.616, -1.351, 0.638], [-0.928, -3.030, 1.158], [-0.377, -1.820, 2.333], [2.659, -0.217, 5.867], [3.777, -0.869, 5.084], [4.505, -1.820, 5.883], [3.909, -2.995, 6.056], [2.857, -3.343, 5.582], [4.688, -3.744, 6.841], [4.149, -5.030, 7.154], [3.048, 0.233, 6.782], [2.191, 0.559, 5.262], [1.899, -0.946, 6.146], [4.510, -0.124, 4.786], [3.401, -1.351, 4.182], [3.878, -5.569, 6.249], [3.276, -4.928, 7.797], [4.934, -5.563, 7.682], [-3.746, 5.703, 0.045], [-3.898, 5.141, -1.351], [-2.837, 4.229, -1.680], [-2.948, 3.007, -1.154], [-3.856, 2.606, -0.474], [-1.881, 2.303, -1.528], [-1.821, 0.976, -0.993], [-2.764, 6.164, 0.164], [-4.511, 6.458, 0.229], [-3.848, 4.920, 0.795], [-3.822, 5.932, -2.094], [-4.858, 4.643, -1.481], [-2.736, 0.429, -1.196], [-1.638, 1.011, 0.078], [-0.989, 0.491, -1.492], [3.159, 1.009, -7.219], [2.182, 0.167, -6.427], [1.851, 0.770, -5.166], [0.968, 1.772, -5.229], [0.425, 2.170, -6.227], [0.784, 2.238, -3.999], [-0.105, 3.360, -3.902], [4.050, 1.218, -6.625], [3.459, 0.481, -8.124], [2.711, 1.959, -7.506], [2.626, -0.792, -6.167], [1.269, -0.023, -6.990], [-1.061, 3.143, -4.371], [0.349, 4.237, -4.361], [-0.253, 3.532, -2.844]],